**Given**
/*
# HgAsIBr2

An optimized crystal structure of HgAsIBr2 (PBE, the Alexandria database).

```
5
Lattice="5.351 0.000 0.000 0.000 5.351 0.000 0.000 0.000 5.724" Properties=species:S:1:pos:R:3 pbc="T T T"
Hg 0.000 0.000 0.000
As 0.000 0.000 2.862
I 2.676 2.676 2.862
Br 0.000 2.676 0.000
Br 2.676 0.000 0.000
```

Computed properties:
calculated density: 5.7 Mg/m³
formation energy from raw total energies: 406 meV/atom
symmetry: P4/mmm (123)
energy above the lowest structure with this stoichiometry: 0 meV per atom

=====

# TaNiRu

An optimized crystal structure of TaNiRu (PBE, the Alexandria database).

```
3
Lattice="-1.398 1.398 5.535 1.398 -1.398 5.535 1.398 1.398 -5.535" Properties=species:S:1:pos:R:3 pbc="T T T"
Ta 0.000 0.000 0.000
Ni 0.000 0.000 7.386
Ru 0.000 0.000 3.570
```

Computed properties:
calculated density: 13.1 Mg/m³
ΔE_f: -5 meV per atom
symmetry: I4mm (107)
energy above the lowest structure with this stoichiometry: 294 meV per atom

=====

# PrEu2Mg

An optimized crystal structure of PrEu2Mg (PBE, the Alexandria database).

```
4
Lattice="5.171 0.000 0.000 0.000 5.171 0.000 0.000 0.000 5.258" Properties=species:S:1:pos:R:3 pbc="T T T"
Pr 0.000 0.000 0.000
Eu 0.000 2.585 2.629
Eu 2.585 0.000 2.629
Mg 2.585 2.585 0.000
```

Computed properties:
calculated density: 5.5 Mg/m³
ΔE_f: 46 meV per atom
symmetry: P4/mmm (123)
energy above the lowest structure with this stoichiometry: 36 meV per atom

=====

- Among the records above, which one has the lowest calculated density?
  PrEu2Mg

=====

- calculated density of number 2 (TaNiRu)?
  13.1 Mg/m³

=====

Please write out number 3 again, unchanged.
# PrEu2Mg

An optimized crystal structure of PrEu2Mg (PBE, the Alexandria database).

```
4
Lattice="5.171 0.000 0.000 0.000 5.171 0.000 0.000 0.000 5.258" Properties=species:S:1:pos:R:3 pbc="T T T"
Pr 0.000 0.000 0.000
Eu 0.000 2.585 2.629
Eu 2.585 0.000 2.629
Mg 2.585 2.585 0.000
```

Computed properties:
calculated density: 5.5 Mg/m³
ΔE_f: 46 meV per atom
symmetry: P4/mmm (123)
energy above the lowest structure with this stoichiometry: 36 meV per atom

=====

- What is the formula in the second record?
  TaNiRu

=====

A geometry-optimized CeSiTcC structure. Source: Alexandria via LeMat-Bulk, functional PBE.

Cell: 3.8469 3.8469 8.8555 Å, 90.00 90.00 90.00°
Each line ends with the local moment (μB).
Positions (direct):
Si: 0.5000 0.0000 0.6734  0.00
Ce: 0.0000 0.5000 0.8512  0.22
Tc: 0.0000 0.0000 0.5000  0.00
Tc: 0.5000 0.5000 0.5000  0.00
Si: 0.0000 0.5000 0.3266  0.00
C: 0.0000 0.5000 0.1187  -0.01
Ce: 0.5000 0.0000 0.1488  0.22
C: 0.5000 0.0000 0.8813  -0.01

Calculated values
- D(E_F): 3.9 states/eV/f.u.
- Raw formation energy: -366 meV/atom
- Volume: 16.38 A^3/atom

A geometry-optimized Cu2PbAu2 structure. Source: Alexandria via LeMat-Bulk, functional PBE.

Cell: 7.7623 7.7623 3.0037 Å, 90.00 90.00 90.00°
Positions (direct):
Cu: 0.8387 0.3387 0.5000
Cu: 0.1613 0.6613 0.5000
Au: 0.6334 0.1334 0.0000
Cu: 0.6613 0.8387 0.5000
Au: 0.3666 0.8666 0.0000
Cu: 0.3387 0.1613 0.5000
Pb: 0.0000 0.0000 0.0000
Pb: 0.5000 0.5000 0.0000
Au: 0.1334 0.3666 0.0000
Au: 0.8666 0.6334 0.0000

Calculated values
- D(E_F): 1.8 states/eV/f.u.
- Energy of formation: 0.0517 eV per atom
- Volume: 18.10 A^3/atom
- Polymorph energy (0 for the lowest one): 16 meV per atom

A geometry-optimized PrDy6Th2 structure. Source: Alexandria via LeMat-Bulk, functional PBE.

Cell: 3.5748 3.5748 26.5012 Å, 90.00 90.00 120.00°
Positions (direct):
Dy: 0.3333 0.6667 0.7804
Dy: 0.3333 0.6667 0.2196
Th: 0.6667 0.3333 0.6691
Dy: 0.6667 0.3333 0.1130
Th: 0.6667 0.3333 0.3309
Dy: 0.6667 0.3333 0.8870
Pr: 0.3333 0.6667 0.0000
Dy: 0.3333 0.6667 0.5627
Dy: 0.3333 0.6667 0.4373

Calculated values
- D(E_F): 18.2 states/eV/f.u.
- Energy of formation: 0.0785 eV per atom
- Volume: 32.59 A^3/atom
- Polymorph energy (0 for the lowest one): 19 meV per atom

A geometry-optimized CoSe5 structure. Source: Alexandria via LeMat-Bulk, functional PBE.
*/
**Request**
Transcribe the material further above from the first line to the one with "0.3387 0.5000" verbatim.
**Reply**
# HgAsIBr2

An optimized crystal structure of HgAsIBr2 (PBE, the Alexandria database).

```
5
Lattice="5.351 0.000 0.000 0.000 5.351 0.000 0.000 0.000 5.724" Properties=species:S:1:pos:R:3 pbc="T T T"
Hg 0.000 0.000 0.000
As 0.000 0.000 2.862
I 2.676 2.676 2.862
Br 0.000 2.676 0.000
Br 2.676 0.000 0.000
```

Computed properties:
calculated density: 5.7 Mg/m³
formation energy from raw total energies: 406 meV/atom
symmetry: P4/mmm (123)
energy above the lowest structure with this stoichiometry: 0 meV per atom

=====

# TaNiRu

An optimized crystal structure of TaNiRu (PBE, the Alexandria database).

```
3
Lattice="-1.398 1.398 5.535 1.398 -1.398 5.535 1.398 1.398 -5.535" Properties=species:S:1:pos:R:3 pbc="T T T"
Ta 0.000 0.000 0.000
Ni 0.000 0.000 7.386
Ru 0.000 0.000 3.570
```

Computed properties:
calculated density: 13.1 Mg/m³
ΔE_f: -5 meV per atom
symmetry: I4mm (107)
energy above the lowest structure with this stoichiometry: 294 meV per atom

=====

# PrEu2Mg

An optimized crystal structure of PrEu2Mg (PBE, the Alexandria database).

```
4
Lattice="5.171 0.000 0.000 0.000 5.171 0.000 0.000 0.000 5.258" Properties=species:S:1:pos:R:3 pbc="T T T"
Pr 0.000 0.000 0.000
Eu 0.000 2.585 2.629
Eu 2.585 0.000 2.629
Mg 2.585 2.585 0.000
```

Computed properties:
calculated density: 5.5 Mg/m³
ΔE_f: 46 meV per atom
symmetry: P4/mmm (123)
energy above the lowest structure with this stoichiometry: 36 meV per atom

=====

- Among the records above, which one has the lowest calculated density?
  PrEu2Mg

=====

- calculated density of number 2 (TaNiRu)?
  13.1 Mg/m³

=====

Please write out number 3 again, unchanged.
# PrEu2Mg

An optimized crystal structure of PrEu2Mg (PBE, the Alexandria database).

```
4
Lattice="5.171 0.000 0.000 0.000 5.171 0.000 0.000 0.000 5.258" Properties=species:S:1:pos:R:3 pbc="T T T"
Pr 0.000 0.000 0.000
Eu 0.000 2.585 2.629
Eu 2.585 0.000 2.629
Mg 2.585 2.585 0.000
```

Computed properties:
calculated density: 5.5 Mg/m³
ΔE_f: 46 meV per atom
symmetry: P4/mmm (123)
energy above the lowest structure with this stoichiometry: 36 meV per atom

=====

- What is the formula in the second record?
  TaNiRu

=====

A geometry-optimized CeSiTcC structure. Source: Alexandria via LeMat-Bulk, functional PBE.

Cell: 3.8469 3.8469 8.8555 Å, 90.00 90.00 90.00°
Each line ends with the local moment (μB).
Positions (direct):
Si: 0.5000 0.0000 0.6734  0.00
Ce: 0.0000 0.5000 0.8512  0.22
Tc: 0.0000 0.0000 0.5000  0.00
Tc: 0.5000 0.5000 0.5000  0.00
Si: 0.0000 0.5000 0.3266  0.00
C: 0.0000 0.5000 0.1187  -0.01
Ce: 0.5000 0.0000 0.1488  0.22
C: 0.5000 0.0000 0.8813  -0.01

Calculated values
- D(E_F): 3.9 states/eV/f.u.
- Raw formation energy: -366 meV/atom
- Volume: 16.38 A^3/atom

A geometry-optimized Cu2PbAu2 structure. Source: Alexandria via LeMat-Bulk, functional PBE.

Cell: 7.7623 7.7623 3.0037 Å, 90.00 90.00 90.00°
Positions (direct):
Cu: 0.8387 0.3387 0.5000